Activity =
Set down all of the data further down verbatim.
Source =
~~~
Theoretical powder XRD pattern
Compound: MnReGe
Radiation: Cu Ka
Structure: a PBE-relaxed structure

Crystal structure
abc: 4.6987 2.7989 6.4850
angles: 90.00 95.23 90.00
Space group P2/m (No. 10)
One atom of each set of equivalent atoms:
Mn  0.2362  0.0000  0.3457 [2 per cell]
Re  0.0000  0.5000  0.0000 [1 per cell]
Re  0.5000  0.0000  0.0000 [1 per cell]
Ge  0.2702  0.5000  0.6711 [2 per cell]

Top 10 peaks for 15° ≤ 2θ ≤ 90°, in order of rising 2θ:
| index | two_theta | I (rel.) |
| --- | --- | --- |
| 0 0 2 | 27.6 | 22.5 |
| 1 1 0 | 37.4 | 39.5 |
| 2 0 -1 | 39.8 | 43.8 |
| 1 1 1 | 40.7 | 100.0 |
| 0 0 3 | 42.0 | 49.0 |
| 2 0 1 | 42.3 | 24.9 |
| 2 0 -2 | 45.8 | 18.7 |
| 1 1 -2 | 46.0 | 71.2 |
| 2 0 2 | 50.2 | 21.4 |
| 1 1 4 | 72.0 | 18.4 |



Theoretical powder XRD pattern
Compound: LaCeS
Radiation: Cu Ka
Structure: a PBE-relaxed structure

Crystal structure
abc: 8.5883 10.7382 7.5288
angles: 90.00 90.00 90.00
Space group Cmce (No. 64)
One atom of each set of equivalent atoms:
La  0.2107  0.0000  0.0000 [8 per cell]
Ce  0.0000  0.1993  0.3441 [8 per cell]
S  0.0000  0.0636  0.7051 [8 per cell]

Top 10 peaks for 15° ≤ 2θ ≤ 90°, in order of rising 2θ:
| index | two_theta | I (rel.) |
| --- | --- | --- |
| 2 2 0 | 26.6 | 100.0 |
| 1 1 2 | 27.2 | 58.0 |
| 0 2 2 | 29.0 | 46.8 |
| 1 3 1 | 29.5 | 30.7 |
| 2 0 2 | 31.6 | 59.8 |
| 3 1 1 | 34.5 | 36.3 |
| 0 4 1 | 35.5 | 21.8 |
| 2 4 1 | 41.4 | 28.0 |
| 4 0 0 | 42.1 | 21.7 |
| 3 3 3 | 55.0 | 23.3 |



Theoretical powder XRD pattern
Compound: Mg3CuSn2S8
Radiation: Cu Ka
Structure: a PBE-relaxed structure

Crystal structure
abc: 7.4101 7.6110 10.5249
angles: 90.00 90.00 90.00
Space group Imm2 (No. 44)
One atom of each set of equivalent atoms:
Mg  0.0000  0.0000  0.0000 [2 per cell]
Mg  0.2488  0.0000  0.3940 [4 per cell]
Cu  0.0000  0.5000  0.2840 [2 per cell]
Sn  0.0000  0.2499  0.6430 [4 per cell]
S  0.0000  0.2409  0.4005 [4 per cell]
S  0.0000  0.2712  0.8827 [4 per cell]
S  0.2408  0.5000  0.6494 [4 per cell]
S  0.2483  0.0000  0.6431 [4 per cell]

Top 10 peaks for 15° ≤ 2θ ≤ 90°, in order of rising 2θ:
| index | two_theta | I (rel.) |
| --- | --- | --- |
| 0 0 2 | 16.8 | 26.5 |
| 2 0 0 | 24.0 | 30.8 |
| 1 2 1 | 27.7 | 100.0 |
| 1 0 3 | 28.1 | 48.9 |
| 2 2 0 | 33.8 | 67.4 |
| 0 0 4 | 34.1 | 33.9 |
| 3 2 1 | 44.6 | 35.0 |
| 0 4 0 | 47.8 | 23.5 |
| 2 2 4 | 48.7 | 87.6 |
| 4 0 0 | 49.2 | 22.2 |



Theoretical powder XRD pattern
Compound: La3Pd6Au2
Radiation: Cu Ka
Structure: a PBE-relaxed structure

Crystal structure
abc: 9.8367 9.8367 9.8367
angles: 90.00 90.00 90.00
Space group Im-3m (No. 229)
One atom of each set of equivalent atoms:
La  0.0000  0.0000  0.2992 [12 per cell]
Pd  0.0000  0.3464  0.3464 [24 per cell]
Au  0.2500  0.2500  0.2500 [8 per cell]

Top 10 peaks for 15° ≤ 2θ ≤ 90°, in order of rising 2θ:
| index | two_theta | I (rel.) |
| --- | --- | --- |
| 2 2 2 | 31.5 | 47.1 |
| 3 2 1 | 34.1 | 20.5 |
| 4 0 0 | 36.5 | 20.7 |
| 3 3 0 | 38.8 | 100.0 |
| 4 2 0 | 41.0 | 42.4 |
| 4 2 2 | 45.2 | 16.3 |
| 6 2 0 | 59.4 | 14.4 |
| 6 2 2 | 62.6 | 22.4 |
| 6 3 3 | 70.3 | 28.6 |
| 6 6 0 | 83.4 | 14.3 |



Theoretical powder XRD pattern
Compound: ErTm8Sc6
Radiation: Cu Ka
Structure: a PBE-relaxed structure

Crystal structure
abc: 8.6171 8.6171 19.7905
angles: 90.00 90.00 120.00
Space group R-3 (No. 148, hexagonal axes)
One atom of each set of equivalent atoms:
Er  0.0000  0.0000  0.0000 [3 per cell]
Tm  0.0000  0.0000  0.4216 [6 per cell]
Tm  0.0812  0.5233  0.8081 [18 per cell]
Sc  0.0512  0.8100  0.7057 [18 per cell]

Top 10 peaks for 15° ≤ 2θ ≤ 90°, in order of rising 2θ:
| index | two_theta | I (rel.) |
| --- | --- | --- |
| 2 1 1 | 32.1 | 28.3 |
| 2 0 5 | 33.0 | 100.0 |
| 1 0 7 | 33.9 | 30.3 |
| 3 -1 4 | 36.7 | 12.3 |
| 0 3 3 | 38.7 | 15.9 |
| 2 2 0 | 41.9 | 9.2 |
| 0 3 6 | 45.7 | 10.2 |
| 4 -1 5 | 49.7 | 9.2 |
| 0 3 9 | 55.8 | 10.9 |
| 5 -2 7 | 63.5 | 13.6 |



Theoretical powder XRD pattern
Compound: TiAuS
Radiation: Cu Ka
Structure: a PBE-relaxed structure

Crystal structure
~~~
Worked solution =
Theoretical powder XRD pattern
Compound: MnReGe
Radiation: Cu Ka
Structure: a PBE-relaxed structure

Crystal structure
abc: 4.6987 2.7989 6.4850
angles: 90.00 95.23 90.00
Space group P2/m (No. 10)
One atom of each set of equivalent atoms:
Mn  0.2362  0.0000  0.3457 [2 per cell]
Re  0.0000  0.5000  0.0000 [1 per cell]
Re  0.5000  0.0000  0.0000 [1 per cell]
Ge  0.2702  0.5000  0.6711 [2 per cell]

Top 10 peaks for 15° ≤ 2θ ≤ 90°, in order of rising 2θ:
| index | two_theta | I (rel.) |
| --- | --- | --- |
| 0 0 2 | 27.6 | 22.5 |
| 1 1 0 | 37.4 | 39.5 |
| 2 0 -1 | 39.8 | 43.8 |
| 1 1 1 | 40.7 | 100.0 |
| 0 0 3 | 42.0 | 49.0 |
| 2 0 1 | 42.3 | 24.9 |
| 2 0 -2 | 45.8 | 18.7 |
| 1 1 -2 | 46.0 | 71.2 |
| 2 0 2 | 50.2 | 21.4 |
| 1 1 4 | 72.0 | 18.4 |



Theoretical powder XRD pattern
Compound: LaCeS
Radiation: Cu Ka
Structure: a PBE-relaxed structure

Crystal structure
abc: 8.5883 10.7382 7.5288
angles: 90.00 90.00 90.00
Space group Cmce (No. 64)
One atom of each set of equivalent atoms:
La  0.2107  0.0000  0.0000 [8 per cell]
Ce  0.0000  0.1993  0.3441 [8 per cell]
S  0.0000  0.0636  0.7051 [8 per cell]

Top 10 peaks for 15° ≤ 2θ ≤ 90°, in order of rising 2θ:
| index | two_theta | I (rel.) |
| --- | --- | --- |
| 2 2 0 | 26.6 | 100.0 |
| 1 1 2 | 27.2 | 58.0 |
| 0 2 2 | 29.0 | 46.8 |
| 1 3 1 | 29.5 | 30.7 |
| 2 0 2 | 31.6 | 59.8 |
| 3 1 1 | 34.5 | 36.3 |
| 0 4 1 | 35.5 | 21.8 |
| 2 4 1 | 41.4 | 28.0 |
| 4 0 0 | 42.1 | 21.7 |
| 3 3 3 | 55.0 | 23.3 |



Theoretical powder XRD pattern
Compound: Mg3CuSn2S8
Radiation: Cu Ka
Structure: a PBE-relaxed structure

Crystal structure
abc: 7.4101 7.6110 10.5249
angles: 90.00 90.00 90.00
Space group Imm2 (No. 44)
One atom of each set of equivalent atoms:
Mg  0.0000  0.0000  0.0000 [2 per cell]
Mg  0.2488  0.0000  0.3940 [4 per cell]
Cu  0.0000  0.5000  0.2840 [2 per cell]
Sn  0.0000  0.2499  0.6430 [4 per cell]
S  0.0000  0.2409  0.4005 [4 per cell]
S  0.0000  0.2712  0.8827 [4 per cell]
S  0.2408  0.5000  0.6494 [4 per cell]
S  0.2483  0.0000  0.6431 [4 per cell]

Top 10 peaks for 15° ≤ 2θ ≤ 90°, in order of rising 2θ:
| index | two_theta | I (rel.) |
| --- | --- | --- |
| 0 0 2 | 16.8 | 26.5 |
| 2 0 0 | 24.0 | 30.8 |
| 1 2 1 | 27.7 | 100.0 |
| 1 0 3 | 28.1 | 48.9 |
| 2 2 0 | 33.8 | 67.4 |
| 0 0 4 | 34.1 | 33.9 |
| 3 2 1 | 44.6 | 35.0 |
| 0 4 0 | 47.8 | 23.5 |
| 2 2 4 | 48.7 | 87.6 |
| 4 0 0 | 49.2 | 22.2 |



Theoretical powder XRD pattern
Compound: La3Pd6Au2
Radiation: Cu Ka
Structure: a PBE-relaxed structure

Crystal structure
abc: 9.8367 9.8367 9.8367
angles: 90.00 90.00 90.00
Space group Im-3m (No. 229)
One atom of each set of equivalent atoms:
La  0.0000  0.0000  0.2992 [12 per cell]
Pd  0.0000  0.3464  0.3464 [24 per cell]
Au  0.2500  0.2500  0.2500 [8 per cell]

Top 10 peaks for 15° ≤ 2θ ≤ 90°, in order of rising 2θ:
| index | two_theta | I (rel.) |
| --- | --- | --- |
| 2 2 2 | 31.5 | 47.1 |
| 3 2 1 | 34.1 | 20.5 |
| 4 0 0 | 36.5 | 20.7 |
| 3 3 0 | 38.8 | 100.0 |
| 4 2 0 | 41.0 | 42.4 |
| 4 2 2 | 45.2 | 16.3 |
| 6 2 0 | 59.4 | 14.4 |
| 6 2 2 | 62.6 | 22.4 |
| 6 3 3 | 70.3 | 28.6 |
| 6 6 0 | 83.4 | 14.3 |



Theoretical powder XRD pattern
Compound: ErTm8Sc6
Radiation: Cu Ka
Structure: a PBE-relaxed structure

Crystal structure
abc: 8.6171 8.6171 19.7905
angles: 90.00 90.00 120.00
Space group R-3 (No. 148, hexagonal axes)
One atom of each set of equivalent atoms:
Er  0.0000  0.0000  0.0000 [3 per cell]
Tm  0.0000  0.0000  0.4216 [6 per cell]
Tm  0.0812  0.5233  0.8081 [18 per cell]
Sc  0.0512  0.8100  0.7057 [18 per cell]

Top 10 peaks for 15° ≤ 2θ ≤ 90°, in order of rising 2θ:
| index | two_theta | I (rel.) |
| --- | --- | --- |
| 2 1 1 | 32.1 | 28.3 |
| 2 0 5 | 33.0 | 100.0 |
| 1 0 7 | 33.9 | 30.3 |
| 3 -1 4 | 36.7 | 12.3 |
| 0 3 3 | 38.7 | 15.9 |
| 2 2 0 | 41.9 | 9.2 |
| 0 3 6 | 45.7 | 10.2 |
| 4 -1 5 | 49.7 | 9.2 |
| 0 3 9 | 55.8 | 10.9 |
| 5 -2 7 | 63.5 | 13.6 |



Theoretical powder XRD pattern
Compound: TiAuS
Radiation: Cu Ka
Structure: a PBE-relaxed structure

Crystal structure